### Wanted
Now set down the whole of the listing further below character by character.
### Given
........
Crystalline PrTlP2S7 at its relaxed geometry, computed with GGA-PBE.

Computed properties:
- Electronic total energy: -220.55 eV per cell
- Total moment: 0.0 Bohr magnetons per cell
- Symmetry: No. 14

abc: 9.8344 12.4754 9.1073
angles: 90.00 90.39 90.00
With the nearest neighbours (Å) after each atom.
Positions (direct):
P 0.7752 0.3988 0.0221  4 S 2.02-2.14
P 0.6879 0.9629 0.1975  4 S 2.03-2.14
P 0.3121 0.4629 0.3025  4 S 2.03-2.14
P 0.2248 0.8988 0.4779  4 S 2.02-2.14
P 0.7752 0.1012 0.5221  4 S 2.02-2.14
P 0.6879 0.5371 0.6975  4 S 2.03-2.14
P 0.3121 0.0371 0.8025  4 S 2.03-2.14
P 0.2248 0.6012 0.9779  4 S 2.02-2.14
Pr 0.3577 0.8576 0.1083  8 S 2.92-3.07
Pr 0.6423 0.3576 0.3917  8 S 2.92-3.07
Pr 0.3577 0.6424 0.6083  8 S 2.92-3.07
Pr 0.6423 0.1424 0.8917  8 S 2.92-3.07
S 0.8379 0.0221 0.0687  1 P 2.03
S 0.5896 0.3344 0.0697  1 P 2.04
S 0.2479 0.4469 0.0788  2 P 2.14
S 0.1270 0.7067 0.1099  1 P 2.03
S 0.6502 0.8068 0.1468  1 P 2.03
S 0.5211 0.0592 0.1794  1 P 2.04
S 0.8680 0.4444 0.2102  1 P 2.02
S 0.1320 0.9444 0.2898  1 P 2.02
S 0.4789 0.5592 0.3206  1 P 2.04
S 0.3498 0.3068 0.3532  1 P 2.03
S 0.8730 0.2067 0.3901  1 P 2.03
S 0.7521 0.9469 0.4212  2 P 2.14
S 0.4104 0.8344 0.4303  1 P 2.04
S 0.1621 0.5221 0.4313  1 P 2.03
S 0.8379 0.4779 0.5687  1 P 2.03
S 0.5896 0.1656 0.5697  1 P 2.04
S 0.2479 0.0531 0.5788  2 P 2.14
S 0.1270 0.7933 0.6099  1 P 2.03
S 0.6502 0.6932 0.6468  1 P 2.03
S 0.5211 0.4408 0.6794  1 P 2.04
S 0.8680 0.0556 0.7102  1 P 2.02
S 0.1320 0.5556 0.7898  1 P 2.02
S 0.4789 0.9408 0.8206  1 P 2.04
S 0.3498 0.1932 0.8532  1 P 2.03
S 0.8730 0.2933 0.8901  1 P 2.03
S 0.7521 0.5531 0.9212  2 P 2.14
S 0.4104 0.6656 0.9303  1 P 2.04
S 0.1621 0.9779 0.9313  1 P 2.03
Tl 0.1029 0.1881 0.1267  8 S 3.22-3.56
Tl 0.8971 0.6881 0.3733  8 S 3.22-3.56
Tl 0.1029 0.3119 0.6267  8 S 3.22-3.56
Tl 0.8971 0.8119 0.8733  8 S 3.22-3.56

----------

[1]
An optimized crystal structure of ErSc2Sn2. Source: Alexandria via LeMat-Bulk, functional GGA-PBE.

Cell: 4.9635 4.9635 17.0096 Å, 90.00 90.00 120.00°
With the nearest neighbours (Å) after each atom.
Space group R-3m (No. 166, hexagonal axes)
Inequivalent atoms, fractional coordinates:
Er 0.0000 0.0000 0.0000 x3  6 Sn 3.14, 2 Sc 3.47
Sc 0.0000 0.0000 0.2042 x6  3 Sn 3.01, 3 Sc 3.14
Sn 0.0000 0.0000 0.4092 x6  3 Sc 3.01, 1 Sn 3.09, 3 Er 3.14


[2]
An optimized crystal structure of Er2ScSn. Source: Alexandria via LeMat-Bulk, functional GGA-PBE.

Cell: 4.6841 4.6841 4.6768 Å, 90.00 90.00 90.00°
With the nearest neighbours (Å) after each atom.
Space group P4/mmm (No. 123)
Inequivalent atoms, fractional coordinates:
Er 0.0000 0.5000 0.0000 x2  4 Sn 3.31, 4 Sc 3.31, 4 Er 3.31
Sc 0.0000 0.0000 0.5000 x1  8 Er 3.31, 4 Sn 3.31
Sn 0.5000 0.5000 0.5000 x1  8 Er 3.31, 4 Sc 3.31


[3]
An optimized crystal structure of ErSc2Sn. Source: Alexandria via LeMat-Bulk, functional GGA-PBE.

Cell: 4.3803 4.4605 10.8086 Å, 90.00 101.65 90.00°
With the nearest neighbours (Å) after each atom.
Space group P2_1/m (No. 11)
Inequivalent atoms, fractional coordinates:
Er 0.1887 0.2500 0.3795 x2  5 Sn 3.15-3.18, 2 Sc 3.50
Sc 0.0554 0.7500 0.1115 x2  8 Sc 3.13-3.30, 2 Sn 3.13
Sc 0.4395 0.7500 0.8783 x2  2 Sn 3.08, 8 Sc 3.13-3.41
Sn 0.3398 0.2500 0.6775 x2  4 Sc 3.08-3.13, 5 Er 3.15-3.18


[4]
An optimized crystal structure of ErScTlSn. Source: Alexandria via LeMat-Bulk, functional GGA-PBE.

Cell: 7.3677 7.3677 7.3677 Å, 90.00 90.00 90.00°
With the nearest neighbours (Å) after each atom.
Space group F-43m (No. 216)
Inequivalent atoms, fractional coordinates:
Er 0.0000 0.0000 0.0000 x4  4 Sn 3.19, 4 Tl 3.19
Sc 0.0000 0.0000 0.5000 x4  4 Tl 3.19, 4 Sn 3.19
Tl 0.2500 0.2500 0.2500 x4  4 Er 3.19, 4 Sc 3.19
Sn 0.2500 0.2500 0.7500 x4  4 Er 3.19, 4 Sc 3.19


[5]
An optimized crystal structure of ErScZnSn. Source: Alexandria via LeMat-Bulk, functional GGA-PBE.

Cell: 7.1042 7.1042 7.1042 Å, 90.00 90.00 90.00°
With the nearest neighbours (Å) after each atom.
Space group F-43m (No. 216)
........
### Written answer
Crystalline PrTlP2S7 at its relaxed geometry, computed with GGA-PBE.

Computed properties:
- Electronic total energy: -220.55 eV per cell
- Total moment: 0.0 Bohr magnetons per cell
- Symmetry: No. 14

abc: 9.8344 12.4754 9.1073
angles: 90.00 90.39 90.00
With the nearest neighbours (Å) after each atom.
Positions (direct):
P 0.7752 0.3988 0.0221  4 S 2.02-2.14
P 0.6879 0.9629 0.1975  4 S 2.03-2.14
P 0.3121 0.4629 0.3025  4 S 2.03-2.14
P 0.2248 0.8988 0.4779  4 S 2.02-2.14
P 0.7752 0.1012 0.5221  4 S 2.02-2.14
P 0.6879 0.5371 0.6975  4 S 2.03-2.14
P 0.3121 0.0371 0.8025  4 S 2.03-2.14
P 0.2248 0.6012 0.9779  4 S 2.02-2.14
Pr 0.3577 0.8576 0.1083  8 S 2.92-3.07
Pr 0.6423 0.3576 0.3917  8 S 2.92-3.07
Pr 0.3577 0.6424 0.6083  8 S 2.92-3.07
Pr 0.6423 0.1424 0.8917  8 S 2.92-3.07
S 0.8379 0.0221 0.0687  1 P 2.03
S 0.5896 0.3344 0.0697  1 P 2.04
S 0.2479 0.4469 0.0788  2 P 2.14
S 0.1270 0.7067 0.1099  1 P 2.03
S 0.6502 0.8068 0.1468  1 P 2.03
S 0.5211 0.0592 0.1794  1 P 2.04
S 0.8680 0.4444 0.2102  1 P 2.02
S 0.1320 0.9444 0.2898  1 P 2.02
S 0.4789 0.5592 0.3206  1 P 2.04
S 0.3498 0.3068 0.3532  1 P 2.03
S 0.8730 0.2067 0.3901  1 P 2.03
S 0.7521 0.9469 0.4212  2 P 2.14
S 0.4104 0.8344 0.4303  1 P 2.04
S 0.1621 0.5221 0.4313  1 P 2.03
S 0.8379 0.4779 0.5687  1 P 2.03
S 0.5896 0.1656 0.5697  1 P 2.04
S 0.2479 0.0531 0.5788  2 P 2.14
S 0.1270 0.7933 0.6099  1 P 2.03
S 0.6502 0.6932 0.6468  1 P 2.03
S 0.5211 0.4408 0.6794  1 P 2.04
S 0.8680 0.0556 0.7102  1 P 2.02
S 0.1320 0.5556 0.7898  1 P 2.02
S 0.4789 0.9408 0.8206  1 P 2.04
S 0.3498 0.1932 0.8532  1 P 2.03
S 0.8730 0.2933 0.8901  1 P 2.03
S 0.7521 0.5531 0.9212  2 P 2.14
S 0.4104 0.6656 0.9303  1 P 2.04
S 0.1621 0.9779 0.9313  1 P 2.03
Tl 0.1029 0.1881 0.1267  8 S 3.22-3.56
Tl 0.8971 0.6881 0.3733  8 S 3.22-3.56
Tl 0.1029 0.3119 0.6267  8 S 3.22-3.56
Tl 0.8971 0.8119 0.8733  8 S 3.22-3.56

----------

[1]
An optimized crystal structure of ErSc2Sn2. Source: Alexandria via LeMat-Bulk, functional GGA-PBE.

Cell: 4.9635 4.9635 17.0096 Å, 90.00 90.00 120.00°
With the nearest neighbours (Å) after each atom.
Space group R-3m (No. 166, hexagonal axes)
Inequivalent atoms, fractional coordinates:
Er 0.0000 0.0000 0.0000 x3  6 Sn 3.14, 2 Sc 3.47
Sc 0.0000 0.0000 0.2042 x6  3 Sn 3.01, 3 Sc 3.14
Sn 0.0000 0.0000 0.4092 x6  3 Sc 3.01, 1 Sn 3.09, 3 Er 3.14


[2]
An optimized crystal structure of Er2ScSn. Source: Alexandria via LeMat-Bulk, functional GGA-PBE.

Cell: 4.6841 4.6841 4.6768 Å, 90.00 90.00 90.00°
With the nearest neighbours (Å) after each atom.
Space group P4/mmm (No. 123)
Inequivalent atoms, fractional coordinates:
Er 0.0000 0.5000 0.0000 x2  4 Sn 3.31, 4 Sc 3.31, 4 Er 3.31
Sc 0.0000 0.0000 0.5000 x1  8 Er 3.31, 4 Sn 3.31
Sn 0.5000 0.5000 0.5000 x1  8 Er 3.31, 4 Sc 3.31


[3]
An optimized crystal structure of ErSc2Sn. Source: Alexandria via LeMat-Bulk, functional GGA-PBE.

Cell: 4.3803 4.4605 10.8086 Å, 90.00 101.65 90.00°
With the nearest neighbours (Å) after each atom.
Space group P2_1/m (No. 11)
Inequivalent atoms, fractional coordinates:
Er 0.1887 0.2500 0.3795 x2  5 Sn 3.15-3.18, 2 Sc 3.50
Sc 0.0554 0.7500 0.1115 x2  8 Sc 3.13-3.30, 2 Sn 3.13
Sc 0.4395 0.7500 0.8783 x2  2 Sn 3.08, 8 Sc 3.13-3.41
Sn 0.3398 0.2500 0.6775 x2  4 Sc 3.08-3.13, 5 Er 3.15-3.18


[4]
An optimized crystal structure of ErScTlSn. Source: Alexandria via LeMat-Bulk, functional GGA-PBE.

Cell: 7.3677 7.3677 7.3677 Å, 90.00 90.00 90.00°
With the nearest neighbours (Å) after each atom.
Space group F-43m (No. 216)
Inequivalent atoms, fractional coordinates:
Er 0.0000 0.0000 0.0000 x4  4 Sn 3.19, 4 Tl 3.19
Sc 0.0000 0.0000 0.5000 x4  4 Tl 3.19, 4 Sn 3.19
Tl 0.2500 0.2500 0.2500 x4  4 Er 3.19, 4 Sc 3.19
Sn 0.2500 0.2500 0.7500 x4  4 Er 3.19, 4 Sc 3.19


[5]
An optimized crystal structure of ErScZnSn. Source: Alexandria via LeMat-Bulk, functional GGA-PBE.

Cell: 7.1042 7.1042 7.1042 Å, 90.00 90.00 90.00°
With the nearest neighbours (Å) after each atom.
Space group F-43m (No. 216)